Journey into the Familiar Realm

Professor Reynard ushered his students through the shimmering portal, transporting them into the heart of the mysterious familiar realm. As they emerged on the other side, a lush forest stretched out before them, alive with the vibrant hues of magical flora and the melodic chirping of unseen creatures.

• The entry is interrupted by data records:
-- begin --
# 1
C19H55NO9S8 | the ωB97M-V functional and the def2-TZVPD basis

Summary:
**F_max**: 2.47 eV/Å
**LUMO energy**: 0.1 eV
**Relative energy (zero: lowest compared OMol25 entry of this formula, charge and spin)**: 0.019 eV
**Charge**: 0

Last columns: bonded neighbours and bond lengths (Å).
Positions of all 92 atoms, in Å:
1 C 1.143 -1.168 3.590  S2 1.810, H5 1.100, H6 1.081, H7 1.103
2 S 2.927 -0.885 3.714  C1 1.810, O3 1.495, C4 1.822
3 O 3.510 -2.001 4.520  S2 1.495
4 C 3.435 -1.225 1.997  S2 1.822, H8 1.076, H9 1.072, H10 1.087
5 H 0.547 -0.291 3.299  C1 1.100
6 H 0.919 -1.504 4.593  C1 1.081
7 H 0.889 -1.975 2.884  C1 1.103
8 H 3.004 -2.177 1.739  C4 1.076
9 H 4.499 -1.360 1.987  C4 1.072
10 H 3.081 -0.496 1.273  C4 1.087
11 C -3.571 1.986 4.309  S12 1.791, H15 1.096, H16 1.114, H17 1.098
12 S -2.913 3.653 4.330  C11 1.791, O13 1.534, C14 1.831
13 O -2.959 4.107 5.794  S12 1.534
14 C -1.155 3.320 3.942  S12 1.831, H18 1.083, H19 1.089, H20 1.103
15 H -4.627 2.066 4.590  C11 1.096
16 H -3.052 1.283 4.999  C11 1.114
17 H -3.338 1.645 3.292  C11 1.098
18 H -1.036 2.922 2.942  C14 1.083
19 H -0.585 2.738 4.664  C14 1.089
20 H -0.762 4.350 3.889  C14 1.103
21 C 2.603 3.208 2.596  S22 1.787, H25 1.096, H26 1.099, H27 1.092
22 S 4.056 2.314 2.065  C21 1.787, O23 1.523, C24 1.754
23 O 3.836 2.059 0.580  S22 1.523
24 C 5.176 3.659 2.186  S22 1.754, H28 1.092, H29 1.083, H30 1.160
25 H 2.415 4.003 1.866  C21 1.096
26 H 2.630 3.582 3.629  C21 1.099
27 H 1.847 2.421 2.544  C21 1.092
28 H 5.007 4.379 1.383  C24 1.092
29 H 6.146 3.228 1.967  C24 1.083
30 H 5.099 4.163 3.228  C24 1.160
31 C -1.522 -5.837 -3.234  S32 1.797, H35 1.101, H36 1.111, H37 1.080
32 S -1.319 -5.921 -1.450  C31 1.797, O33 1.530, C34 1.837
33 O -1.143 -4.505 -0.898  S32 1.530
34 C -3.037 -6.458 -1.082  S32 1.837, H38 1.102, H39 1.097, H40 1.112
35 H -0.538 -5.702 -3.709  C31 1.101
36 H -2.097 -4.896 -3.368  C31 1.111
37 H -1.979 -6.714 -3.666  C31 1.080
38 H -3.127 -6.300 0.004  C34 1.102
39 H -3.099 -7.516 -1.367  C34 1.097
40 H -3.832 -5.897 -1.620  C34 1.112
41 C -2.016 2.396 -0.301  S42 1.771, H45 1.087, H46 1.086, H47 1.114
42 S -3.219 2.590 -1.587  C41 1.771, O43 1.521, C44 1.829
43 O -2.885 1.453 -2.540  S42 1.521
44 C -4.710 1.978 -0.722  S42 1.829, H48 1.059, H49 1.094, H50 1.076
45 H -1.123 2.883 -0.686  C41 1.087
46 H -1.841 1.386 0.059  C41 1.086
47 H -2.386 2.971 0.579  C41 1.114
48 H -5.413 1.745 -1.479  C44 1.059
49 H -5.064 2.715 0.006  C44 1.094
50 H -4.398 1.124 -0.147  C44 1.076
51 C 2.892 -0.933 -5.208  S52 1.819, H55 1.092, H56 1.107, H57 1.109
52 S 1.880 -2.283 -5.889  C51 1.819, O53 1.468, C54 1.843
53 O 2.598 -2.663 -7.111  S52 1.468
54 C 2.245 -3.543 -4.595  S52 1.843, H58 1.109, H59 1.088, H60 1.112
55 H 2.645 -0.206 -5.985  C51 1.092
56 H 3.964 -1.204 -5.147  C51 1.107
57 H 2.412 -0.571 -4.275  C51 1.109
58 H 1.726 -3.236 -3.664  C54 1.109
59 H 3.306 -3.441 -4.377  C54 1.088
60 H 2.054 -4.545 -5.038  C54 1.112
-- stop --

"Welcome, young scholars, to the realm of familiars," Professor Reynard declared, his voice carrying a blend of reverence and excitement. "Here, amidst the whispering trees and enchanted glades, you will encounter beings beyond your wildest imagination."

The students gazed around in awe as they ventured deeper into the verdant expanse, each step unveiling new wonders and mysteries. Ethereal beings flitted through the air, their iridescent wings shimmering in the dappled sunlight, while majestic creatures roamed gracefully through the undergrowth.

"Stay close, my students," Professor Reynard cautioned, his tone tinged with a hint of solemnity. "Though this realm is beautiful, it is not without its dangers. Respect the inhabitants and heed my guidance."

Despite the professor's warning, one student couldn't resist the allure of a peculiar creature darting among the trees. Ignoring the cautionary glances of their peers, they ventured deeper into the forest, drawn by the promise of discovery.

Meanwhile, two noble students seized the opportunity to jest at the expense of their fellow classmate. With smirks upon their faces, they pushed and prodded the unsuspecting student, their laughter echoing through the tranquil grove.

As Aleric surveyed the scene before him, he noticed three students had wandered off, their curiosity leading them deeper into the unfamiliar realm. Keeping a cautious distance, he observed as two noble students taunted a commoner named Edrian The target of their ridicule seemed oblivious, trailing after a small creature darting among the foliage.

Someone pasted data records at this point >
<<<
No. 1
The following is a quantum chemistry calculation of a molecular structure, C48H26ClDyN10O at a distorted geometry, from the OMol25 dataset.

The geometry in XYZ format:
```
87
Properties=species:S:1:pos:R:3:lowdin_charge:R:1
Dy 0.877 -0.406 0.190 1.6542
C 1.200 -6.826 -2.310 -0.0741
C 0.030 -7.046 -1.577 -0.0708
C -0.558 -6.030 -0.834 -0.0073
C 0.060 -4.793 -0.844 -0.1047
C -0.283 -3.517 -0.182 -0.2801
N 0.725 -2.576 -0.525 -0.0134
C 1.607 -3.167 -1.357 -0.2839
N 2.671 -2.660 -1.959 0.1785
C 3.012 -1.363 -1.997 -0.2752
C 4.220 -0.917 -2.698 -0.1113
C 5.227 -1.632 -3.330 -0.0106
C 6.261 -0.912 -3.904 -0.0775
C 6.277 0.488 -3.849 -0.0719
C 5.265 1.198 -3.222 -0.0076
C 4.234 0.472 -2.645 -0.1036
C 3.041 0.884 -1.896 -0.2801
N 2.728 2.106 -1.678 0.2049
C 1.665 2.573 -0.951 -0.2791
N 0.827 1.826 -0.169 -0.0186
C -0.124 2.629 0.326 -0.2547
N -1.244 2.129 1.062 0.0399
C -1.501 -0.165 2.008 -0.2367
N -0.861 -1.141 1.339 -0.0411
C -1.688 -2.175 1.156 -0.2805
N -1.345 -3.351 0.504 0.2084
C -2.945 -1.856 1.724 -0.1046
C -4.183 -2.533 1.771 -0.0256
C -5.254 -1.904 2.342 -0.0961
C -5.137 -0.593 2.884 -0.0929
C -3.951 0.087 2.859 -0.0411
C -2.830 -0.542 2.271 -0.1107
C 0.069 3.953 -0.097 -0.1109
C -0.628 5.166 0.110 -0.0351
C -0.158 6.293 -0.505 -0.0988
C 0.995 6.256 -1.338 -0.0959
C 1.682 5.093 -1.554 -0.0262
C 1.224 3.916 -0.926 -0.1129
N 2.352 -0.301 -1.514 -0.0171
C 1.223 -4.578 -1.565 -0.1092
C 1.813 -5.581 -2.313 -0.0081
H 1.631 -7.639 -2.879 0.1016
H -0.424 -8.029 -1.589 0.1025
H -1.463 -6.190 -0.263 0.1150
H 5.198 -2.714 -3.364 0.1117
H 7.070 -1.433 -4.400 0.1005
H 7.099 1.023 -4.307 0.1021
H 5.269 2.279 -3.174 0.1145
H -4.272 -3.530 1.357 0.1092
H -6.213 -2.406 2.382 0.0949
H -6.010 -0.128 3.327 0.0966
H -3.874 1.085 3.276 0.1050
H -1.510 5.199 0.739 0.0982
H -0.671 7.236 -0.360 0.0946
H 1.328 7.171 -1.812 0.0949
H 2.556 5.065 -2.192 0.1081
H 2.721 -5.391 -2.871 0.1129
Cl 1.741 1.745 7.782 0.6585
C 1.668 1.210 6.129 -0.6698
C 2.704 0.402 5.616 -0.0788
C 2.675 -0.022 4.319 0.0095
C 1.595 0.287 3.448 -0.3201
O 1.630 -0.111 2.228 -0.2080
C 0.551 1.105 3.993 -0.1051
C -0.407 1.713 3.140 0.0648
N -0.961 1.172 2.083 0.0394
C -2.438 1.927 0.295 -0.1438
C -3.528 2.685 0.599 0.0010
C -4.705 2.631 -0.178 -0.0495
C -4.752 1.824 -1.272 -0.0174
C -3.640 1.015 -1.615 -0.1320
C -3.670 0.156 -2.736 0.0030
C -2.594 -0.627 -3.011 -0.0269
C -1.489 -0.564 -2.144 -0.1088
N -1.413 0.221 -1.095 0.0828
C -2.472 1.040 -0.824 -0.1164
C 0.640 1.582 5.325 -0.0613
H 3.533 0.136 6.259 0.1105
H 3.476 -0.625 3.912 0.1225
H -0.611 2.777 3.249 0.1615
H -3.467 3.351 1.451 0.1212
H -5.553 3.247 0.089 0.1099
H -5.637 1.782 -1.895 0.1175
H -4.555 0.131 -3.360 0.1226
H -2.577 -1.303 -3.855 0.1124
H -0.638 -1.217 -2.318 0.1011
H -0.139 2.229 5.710 0.1191
```

HOMO-LUMO gap (alpha / beta) = 5.189 / 5.203 eV
⟨S²⟩ = 9.058
Spin multiplicity = 6
HOMO (alpha / beta) = -6.4 / -6.4 eV
Charge = 0

---

No. 2
>>>

Suddenly, the situation took a sinister turn. The nobles, emboldened by their status, began physically assaulting the defenseless commoner, their laughter turning to malice. The creature, though small, attempted to intervene, but it was swiftly swatted away by the aggressors.

From the depths of the forest emerged the guardian spoken of by the professor, its imposing presence striking fear into the hearts of the students. As the creature approached with a thunderous roar, the terrified students push the commoner towards the Creature, and running to the profesor seeking refuge from the impending danger.

In a moment of clarity, Aleric stepped forward, positioning himself between the guardian and the helpless commoner. As he faced the creature, memories flooded his mind—memories of a distant past when he had encountered this same creature in the forest, only to be rescued by Damien.

Before he could fully comprehend the significance of this revelation, the guardian vanished, leaving behind a palpable sense of unease. The professor arrived on the scene, prompted by the nobles' claims of the guardian's presence, though the only creature was the one who Edrian followed before.

As the commotion subsided and the students gathered around, Aleric couldn't shake the feeling that there was more to his encounter with the guardian than met the eye. With newfound determination, he resolved to uncover the truth behind his forgotten memories and the mysterious guardian that seemed to haunt his past.